Lyonetia castaneella is a moth in the Lyonetiidae family. It is found in Russia (the southern part of Primorskii Territory) and Japan.
The wingspan is 6.5–7 mm. There are two distinct forms, an aestival (summer) and autumnal form. The forewing of the aestival form is white, that of the autumnal form golden yellow. Adults are on wing from July to August in the southern part of the Primorskii Territory.
**Misplaced records of crystals**
=====
A plane-wave DFT calculation with GGA-PBE was carried out for crystalline Be2Co2Si2IrOs at its relaxed geometry.

Results
- total DFT energy (no corrections) (eV/atom) = -7.135
- magnetic moment (μB per formula unit) = 0.0

Cell: 3.949 3.949 5.588 Å, 90.00 90.00 90.00°
Atoms (fractional coordinates):
1 Os 0.000 0.000 0.000
2 Si 0.500 0.000 0.244
3 Si 0.000 0.500 0.756
4 Co 0.500 0.500 0.000
5 Co 0.000 0.000 0.500
6 Ir 0.500 0.500 0.500
7 Be 0.500 0.000 0.753
8 Be 0.000 0.500 0.247

* * * * *

# PBE NbSb2TeRu, relaxed
# - Space group: P4/mmm
# - Raw total energy: -5.297 eV per atom
# - Theoretical density: 6.88 Mg/m³
# - Energy relative to the elements, uncorrected: 0.850 eV per atom
# - Energy relative to the lowest polymorph listed for this composition: 0.0000 eV per atom
data_NbSb2TeRu
_cell_length_a 4.9592
_cell_length_b 4.9592
_cell_length_c 5.5469
_cell_angle_alpha 90.00
_cell_angle_beta 90.00
_cell_angle_gamma 90.00
_space_group_name_H-M_alt 'P 1'
_space_group_IT_number 1
loop_
_space_group_symop_operation_xyz
'x,y,z'
loop_
_atom_site_label
_atom_site_type_symbol
_atom_site_fract_x
_atom_site_fract_y
_atom_site_fract_z
=====
The larvae feed on Alnus japonica, Castanea cretata and Quercus acutissima. They mine the leaves of their host plant. The mine has the form of an irregular blotch mine. It is made on a young leaf and extends from the apex of the leaf towards the base in an irregular blotch along the margin of the leaf. The blackish frass is ejected from the holes which are made on the lower side of the mine, but some is scattered in the mine. The larva may migrate from one leaf to another. When full-grown, the larva leaves the mine and spins a hammock-like cocoon on the lower side of the leaf.
Lyonetia castaneella is a moth in the Lyonetiidae family. It is found in Russia (the southern part of Primorskii Territory) and Japan.
The wingspan is 6.5–7 mm. There are two distinct forms, an aestival (summer) and autumnal form. The forewing of the aestival form is white, that of the autumnal form golden yellow. Adults are on wing from July to August in the southern part of the Primorskii Territory.
The larvae feed on Alnus japonica, Castanea cretata and Quercus acutissima. They mine the leaves of their host plant. The mine has the form of an irregular blotch mine. It is made on a young leaf and extends from the apex of the leaf towards the base in an irregular blotch along the margin of the leaf. The blackish frass is ejected from the holes which are made on the lower side of the mine, but some is scattered in the mine. The larva may migrate from one leaf to another. When full-grown, the larva leaves the mine and spins a hammock-like cocoon on the lower side of the leaf.
Lyonetia castaneella is een vlinder uit de familie van de sneeuwmotten (Lyonetiidae).[1] De wetenschappelijke naam van de soort is voor het eerst geldig gepubliceerd in 1964 door Kuroko.
Bronnen, noten en/of referentiesLyonetia castaneella là một loài bướm đêm thuộc họ Lyonetiidae. Nó được tìm thấy ở Nga (phía nam của lãnh thổ Primorskii) và Nhật Bản.
Sải cánh dài 6.5–7 mm. Ấu trùng ăn Alnus japonica, Castanea cretata và Quercus acutissima. Chúng ăn lá nơi chúng làm tổ.
Lyonetia castaneella là một loài bướm đêm thuộc họ Lyonetiidae. Nó được tìm thấy ở Nga (phía nam của lãnh thổ Primorskii) và Nhật Bản.
• Here the text breaks off for records of crystals:
/*
1.
# Li4Ga2Ag3 | Alexandria | PBE-GGA | relaxed
# SG ... C2/m (12)
# Energy of formation ... -2.14 eV/f.u.
data_Li4Ga2Ag3
_chemical_formula_sum 'Li4 Ga2 Ag3'
_cell_length_a 4.450
_cell_length_b 5.296
_cell_length_c 7.100
_cell_angle_alpha 81.65
_cell_angle_beta 71.74
_cell_angle_gamma 65.16
_symmetry_space_group_name_H-M 'P 1'
_symmetry_Int_Tables_number 1
loop_
_symmetry_equiv_pos_as_xyz
'x,y,z'
loop_
_atom_site_label
_atom_site_type_symbol
_atom_site_fract_x
_atom_site_fract_y
_atom_site_fract_z
Ga1 Ga 0.332 0.122 0.214
Li1 Li 0.006 0.329 0.658
Li2 Li 0.994 0.671 0.342
Ga2 Ga 0.668 0.878 0.786
Ag1 Ag 0.330 0.787 0.553
Ag2 Ag 0.000 0.000 0.000
Li3 Li 0.338 0.448 0.875
Ag3 Ag 0.670 0.213 0.447
Li4 Li 0.662 0.552 0.125

***

2.
# NiGeCl2 | Alexandria | PBE-GGA | relaxed
# SG ... I-42d (122)
# Formation energy from raw total energies ... 0.066 eV/atom
data_NiGeCl2
_chemical_formula_sum 'Ni2 Ge2 Cl4'
_cell_length_a 6.035
_cell_length_b 6.035
_cell_length_c 6.544
_cell_angle_alpha 62.54
_cell_angle_beta 62.54
_cell_angle_gamma 90.00
_symmetry_space_group_name_H-M 'P 1'
_symmetry_Int_Tables_number 1
loop_
_symmetry_equiv_pos_as_xyz
'x,y,z'
loop_
_atom_site_label
_atom_site_type_symbol
_atom_site_fract_x
_atom_site_fract_y
_atom_site_fract_z
Cl1 Cl 0.190 0.625 0.250
Ge1 Ge 0.750 0.250 0.500
Cl2 Cl 0.560 0.125 0.250
Ni1 Ni 0.500 0.500 0.000
Cl3 Cl 0.375 0.440 0.750
Cl4 Cl 0.875 0.810 0.750
Ni2 Ni 0.250 0.750 0.500
Ge2 Ge 0.000 0.000 0.000

***

Question: What is the formula in the second record?
Answer: NiGeCl2


[1]
DFT (PBE-GGA) results for crystalline NaSnCl2 at its relaxed geometry.

Summary:
**Formation energy (no corrections)**: -0.79 eV per atom
**Magnetic moment**: 0.00 μB/cell
**Mass density**: 3.57 g cm⁻³
**Symmetry**: No. 225
**Total energy**: -0.2240 Ry per atom

Cell: 5.191 5.191 5.191 Å, 60.00 60.00 60.00°
Atoms (fractional coordinates):
Sn  0.500  0.500  0.500
Na  0.000  0.000  0.000
Cl  0.750  0.750  0.750
Cl  0.250  0.250  0.250

[2]
DFT (PBE-GGA) results for crystalline TaCdIr at its relaxed geometry.

Summary:
**Magnetic moment**: 0.80 μB/cell
**Mass density**: 13.20 g cm⁻³
**Symmetry**: No. 216
**Total energy**: -0.5193 Ry per atom
**Energy of formation**: 0.144 eV/atom

Cell: 4.420 4.420 4.420 Å, 60.00 60.00 60.00°
Site moments in Bohr magnetons follow the coordinates.
Atoms (fractional coordinates):
Ir  0.750  0.750  0.750  0.10
Cd  0.500  0.500  0.500  0.04
Ta  0.000  0.000  0.000  0.40

[3]
DFT (PBE-GGA) results for crystalline Pm6DyY2Sc at its relaxed geometry.

Summary:
**Magnetic moment**: 0.00 μB/cell
**Mass density**: 6.32 g cm⁻³
**Symmetry**: No. 15
**Total energy**: -0.3753 Ry per atom
**Energy of formation**: 0.130 eV/atom

Cell: 9.275 8.964 8.964 Å, 117.33 92.63 92.63°
Atoms (fractional coordinates):
Y  0.450  0.792  0.694
Y  0.050  0.306  0.208
Y  0.950  0.694  0.792
Y  0.550  0.208  0.306
Dy  0.250  0.970  0.030
Dy  0.750  0.030  0.970
Pm  0.609  0.480  0.713
Pm  0.697  0.989  0.557
Pm  0.197  0.557  0.989
*/
Sải cánh dài 6.5–7 mm. Ấu trùng ăn Alnus japonica, Castanea cretata và Quercus acutissima. Chúng ăn lá nơi chúng làm tổ.